Given:
{
  "formula": "C30H74F6N6O8S2",
  "method": "ωB97M-V with the def2-TZVPD basis set",
  "symbols": ["F", "O", "C", "C", "H", "C", "C", "H", "H", "H", "H", "C", "H", "H", "O", "C", "H", "H", "H", "H", "C", "H", "F", "H", "H", "H", "C", "H", "C", "C", "H", "H", "N", "H", "H", "H", "H", "C", "C", "C", "N", "C", "H", "H", "H", "H", "O", "H", "H", "H", "H", "F", "N", "C", "S", "C", "H", "H", "H", "H", "C", "H", "H", "O", "H", "H", "H", "H", "C", "S", "H", "H", "F", "H", "H", "H", "H", "H", "H", "H", "H", "C", "H", "C", "H", "C", "H", "H", "C", "H", "H", "C", "H", "N", "C", "O", "H", "H", "C", "N", "H", "C", "H", "H", "O", "F", "N", "H", "C", "H", "H", "O", "H", "H", "C", "H", "H", "F", "H", "H", "H", "C", "H", "C", "O", "H"],

Work order:
The reader should duplicate the whole of the listing earlier on without additions.

Solution:
{
  "formula": "C30H74F6N6O8S2",
  "method": "ωB97M-V with the def2-TZVPD basis set",
  "symbols": ["F", "O", "C", "C", "H", "C", "C", "H", "H", "H", "H", "C", "H", "H", "O", "C", "H", "H", "H", "H", "C", "H", "F", "H", "H", "H", "C", "H", "C", "C", "H", "H", "N", "H", "H", "H", "H", "C", "C", "C", "N", "C", "H", "H", "H", "H", "O", "H", "H", "H", "H", "F", "N", "C", "S", "C", "H", "H", "H", "H", "C", "H", "H", "O", "H", "H", "H", "H", "C", "S", "H", "H", "F", "H", "H", "H", "H", "H", "H", "H", "H", "C", "H", "C", "H", "C", "H", "H", "C", "H", "H", "C", "H", "N", "C", "O", "H", "H", "C", "N", "H", "C", "H", "H", "O", "F", "N", "H", "C", "H", "H", "O", "H", "H", "C", "H", "H", "F", "H", "H", "H", "C", "H", "C", "O", "H"],